Aarhus University Seal


  1. "Exploring PFAS Accumulated in Urban Sludge"(2024-2026), Marie Curie Postdoctoral Fellowship for Dr. Hui Wang (1.6M DKK).
  2. "Machine Learning to Enhance PFAS Degradation" (2023-2025), Villum Synergy Program (3.0M DKK). PI
  3. “PFAS Remediation in Groundwater” (2023), COWIfonden & Region Syddanmark (2.25M DKK). PI
  4. “High Performance Removal of PFAS by Cyclodextrin Modified Membranes” (2023-2025), Independent Research Fund Denmark (2.9M DKK). co-PI
  5. "Away from triazine, in with green transition" (2022) DTU-Offshore Radical Jumpstart Grant (0.3M DKK), PI.
  6. “Selective Catalytic Degradation of Chlorate Ions” (2022-2023), Grundfos A/S (0.3M DKK). PI
  7. “CROSS: Cheap, Reliable Optical Sensors for Digital Mornitoring of CO2 Undersea” (2022-2024), DTU-Offshore (2.5M DKK), PI. 
  8. “CataForce: Catalytic “Forever Chemical” Elimination Towards Zero Fluoro-Pollution” (2022-2026), Independent Research Fund Denmark (6.2M DKK), PI. 
  9. “Let it Wave: Ultrasound Enhanced Hydrogen Production (Acronym: Up2H2)” (2022-2025), Independent Research Fund Denmark (2.9M DKK), PI. 
  10. “In-line Descaling in the Whole PW Treatment-Injection Process” (2021-2024) The Danish Hydrocarbon Research and Technology Center (DHRTC) Project (4.0M DKK), PI
  11. “Aqua Cleaner: Synergy of Enzyme and Photocatalyst for Defluorination of PFAS (Acronym: SEP-Def)” (2021-2023), Novo Nordisk Fonden (3.0M DKK), PI. 
  12. "Design and Testing of A Self-cleaning Piezoelectric Membrane" (2021) Siemensfonden (30,000 DKK), PI.  
  13. “Innovative methods and technologies to detect, study and treat persistent pollutants in water and soil and their effects on human health” (2021), EUopSTART (50,000 DKK). PI
  14. “SMILE: A Sonication-Mineralization Equipment for On-line Detection of Dissolved Oils and Chemicals” (2020), DHRTC Radical Jumpstart Grant (0.3M DKK), PI.
  15. “Profiling the Degradation and Toxicity of Short-chain Per- and Polyfluoroalkyl Substances (PFAS)” (2020) Aarhus University Center for Water Technology (WATEC) Ph.D. Grant (0.5M DKK), PI.
  16. “A Novel Sponge Filter for Simultaneous Removal of Oils and Chemical Additives from Produced Water” (2020), The Danish Hydrocarbon Research and Technology Center (DHRTC) Radical Jumpstart Grant (0.3M DKK), PI.
  17. “Engineering Carbon Based Photoregenerable Composite Materials for Efficient Removal of Emerging Micropollutants” (2020-2023), Aarhus University Research Foundation (AUFF) Starting Grant (2.35M DKK), PI.

[Inserted here: data records]
********
1.
## LaGa2SiPd (PBE-GGA)

Data for crystalline LaGa2SiPd at its relaxed geometry.

Unit cell a=6.1152 b=6.1152 c=6.1152 alpha=139.37 beta=139.27 gamma=58.88
Last column: nearest neighbours and their distance in Å.
Positions (direct):
1 La 0.0000 0.0000 0.0000  4 Si 3.25, 8 Ga 3.25-3.41, 4 Pd 3.32-3.50
2 Ga 0.3834 0.3834 0.0000  1 Si 2.48, 2 Ga 2.56, 2 Pd 2.62
3 Ga 0.7495 0.2495 0.5000  2 Si 2.55, 2 Ga 2.56
4 Si 0.6161 0.6161 0.0000  3 Ga 2.48-2.55, 2 Pd 2.50
5 Pd 0.2394 0.7394 0.5000  2 Si 2.50, 2 Ga 2.62

Fermi-level density of states = 1.23 states/eV/f.u.
formation energy (no corrections) = -0.7344 eV per atom

***

2.
## La3Ga2SiPd6 (PBE-GGA)

Data for crystalline La3Ga2SiPd6 at its relaxed geometry.

Unit cell a=5.7876 b=5.7876 c=8.6386 alpha=90.00 beta=90.00 gamma=120.00
Last column: nearest neighbours and their distance in Å.
Positions (direct):
1 La 0.0000 0.0000 0.0000  6 Pd 3.02, 6 Ga 3.36
2 La 0.3333 0.6667 0.6270  6 Pd 2.99
3 La 0.6667 0.3333 0.3730  6 Pd 2.99
4 Ga 0.3333 0.6667 0.0352  3 Pd 2.72
5 Ga 0.6667 0.3333 0.9648  3 Pd 2.72
6 Si 0.0000 0.0000 0.5000  6 Pd 2.51
7 Pd 0.1715 0.3430 0.2877  1 Si 2.51, 1 Ga 2.72, 2 Pd 2.81
8 Pd 0.1715 0.8285 0.2877  1 Si 2.51, 1 Ga 2.72, 2 Pd 2.81
9 Pd 0.3430 0.1715 0.7123  1 Si 2.51, 1 Ga 2.72, 2 Pd 2.81
10 Pd 0.6570 0.8285 0.2877  1 Si 2.51, 1 Ga 2.72, 2 Pd 2.81
11 Pd 0.8285 0.1715 0.7123  1 Si 2.51, 1 Ga 2.72, 2 Pd 2.81
12 Pd 0.8285 0.6570 0.7123  1 Si 2.51, 1 Ga 2.72, 2 Pd 2.81

Fermi-level density of states = 5.87 states/eV/f.u.
formation energy (no corrections) = -0.7499 eV per atom

***

- Look up the Fermi-level density of states of the first one.
  1.23 states/eV/f.u.

***

- Which value of formation energy (no corrections) does entry 1 give?
  -0.7344 eV per atom

***

- Which formula does entry 2 have?
  La3Ga2SiPd6


La2AgRu at its PBEsol-relaxed geometry, computed with meta-GGA SCAN.

Lattice parameters (Å, degrees): 3.6255 3.6255 6.6628 90.00 90.00 90.00
Last column: nearest neighbours and their distance in Å.
Space group P4mm (No. 99)
One atom of each set of equivalent atoms:
La1 0.0000 0.0000 0.0000 (multiplicity 1)  4 Ag 3.05, 1 Ru 3.07, 4 La 3.32
La2 0.5000 0.5000 0.3169 (multiplicity 1)  1 Ag 2.91, 4 Ru 2.96
Ag1 0.5000 0.5000 0.7532 (multiplicity 1)  5 La 2.91-3.05, 4 Ru 2.93
Ru1 0.0000 0.0000 0.5399 (multiplicity 1)  4 Ag 2.93, 5 La 2.96-3.07

E_form: 0.4 eV/f.u.
total magnetization: 0.00 μB per cell
final energy: -38.0006 eV per atom


No. 1
# BaCe2Ho (PBE, relaxed)
# VASP energy: -4.254 eV per atom
# Mass density: 7.0 Mg/m³
# Volume: 34.7 Å³ per atom
# DFT formation energy: 0.338 eV per atom
data_BaCe2Ho
_cell_length_a 3.5276
_cell_length_b 3.5276
_cell_length_c 38.5853
_cell_angle_alpha 90.00
_cell_angle_beta 90.00
_cell_angle_gamma 120.00
_symmetry_space_group_name_H-M 'R -3 m'
_symmetry_Int_Tables_number 166
_symmetry_space_group_name_Hall '-R 3 2"'
loop_
_atom_site_label
_atom_site_type_symbol
_atom_site_fract_x
_atom_site_fract_y
_atom_site_fract_z
********

Please check below the media reports about our research projects:


Interview by European Environment Agency: Removing ‘forever chemicals’ from drinking water

AAU: Towards an efficient method for removing PFAS from water


Teknisk Nyt: Ét-trins løsning til at fjerne og nedbryde PFAS

Plast Panorama: Danske forskere udvikler ét-trinsløsning til at fjerne og nedbryde PFAS”

ING/WATERTECH: Ny metode både renser vand for PFAS og destruerer det med biokulfilter og UV-lys

AVISENDANMARK: Århusiansk forskerteam med megagod nyhed: Mener at kunne smadre evighedskemikalierne PFAS med ét smæk

AU Engineering News: Danish research team aims to develop a single-step solution to remove and break-down PFAS


DFF Case: Kan PFAS indsamles og nedbrydes enkelt og billigt?

AU Engineering News: New research project aims to make it easier to remove PFAS from nature



Avisen Danmark: Forskere får millioner til at eliminere skadeligt PFOS

TV2 ØSTJYLLAND News: Forskere får millioner: Skal eliminere giftigt stof i jorden

Next to the piece, the page also holds crystal structures
Version a
An optimized crystal structure of AlAsPBr2, computed with PBE.

## Properties
crystal system = tetragonal

a b c (Å): 4.859 4.859 5.459
angles (deg): 90.00 90.00 90.00
Each line ends with the local moment (μB).
Element x y z (fractional)
Br 0.500 0.000 0.000  0.02
As 0.000 0.000 0.500  -0.40
Br 0.000 0.500 0.000  0.02
P 0.500 0.500 0.500  0.79
Al 0.000 0.000 0.000  0.01

***

Version b
An optimized crystal structure of AlAsPBr2, computed with PBE.

## Properties
crystal system = tetragonal

a b c (Å): 5.493 4.792 5.493
angles (deg): 90.00 90.00 90.00
Each line ends with the local moment (μB).
Element x y z (fractional)
Al 0.500 0.500 0.500  0.00
Br 0.000 0.000 0.500  0.05
Br 0.500 0.000 0.000  0.04
P 0.000 0.500 0.000  0.26
As 0.000 0.000 0.000  -0.04

***

Q: Which of them is the least stable? A: version a.

***

Version a
An optimized crystal structure of AlAs2PdBr, computed with PBE.

## Properties
crystal system = tetragonal

a b c (Å): 4.836 4.836 5.567
angles (deg): 90.00 90.00 90.00
Each line ends with the local moment (μB).
Element x y z (fractional)
Al 0.500 0.500 0.500  0.01
As 0.500 0.000 0.000  0.20
Pd 0.000 0.000 0.000  0.11
Br 0.000 0.000 0.500  0.06
As 0.000 0.500 0.000  0.20

***

Version b
An optimized crystal structure of AlAs2PdBr, computed with PBE.

## Properties
crystal system = tetragonal

a b c (Å): 4.857 4.857 4.940
angles (deg): 90.00 90.00 90.00
Element x y z (fractional)
Br 0.000 0.000 0.500
As 0.000 0.500 0.000
Pd 0.500 0.500 0.500
Al 0.000 0.000 0.000
As 0.500 0.000 0.000

***

Q: Which of them is the least stable? A: version b.

=====

1.
DFT (PBE-GGA) results for a geometry-optimized BeRuRh4 structure.

## Properties
For the formation energy, the calculation gives 543.3 meV/atom. For the electronic total energy, the calculation gives -39.15 eV/cell. The value obtained for the volume is 90.3 Å³ per cell. As for the crystal system: cubic.

Lattice parameters (Å, degrees): 5.0365 5.0365 5.0365 60.00 60.00 60.00
Last column: nearest neighbours and their distance in Å.
Sites, in units of the cell vectors:
Be 0.0000 0.0000 0.0000  12 Rh 2.95, 4 Ru 3.08
Ru 0.2500 0.2500 0.2500  12 Rh 2.95, 4 Be 3.08
Rh 0.1242 0.6253 0.6253  6 Rh 2.51-2.52
Rh 0.6253 0.1242 0.6253  6 Rh 2.51-2.52
Rh 0.6253 0.6253 0.1242  6 Rh 2.51-2.52
Rh 0.6253 0.6253 0.6253  6 Rh 2.51-2.52

2.
DFT (PBE-GGA) results for a geometry-optimized BeRuRh2 structure.

## Properties
For the formation energy, the calculation gives -82.2 meV/atom. For the electronic total energy, the calculation gives -28.03 eV/cell. The value obtained for the volume is 51.3 Å³ per cell. As for the crystal system: trigonal.

Lattice parameters (Å, degrees): 8.1170 8.1170 8.1170 19.34 19.34 19.34
Last column: nearest neighbours and their distance in Å.
Sites, in units of the cell vectors:
Be 0.0000 0.0000 0.0000  6 Rh 2.39
Ru 0.5000 0.5000 0.5000  6 Rh 2.69, 6 Ru 2.73
Rh 0.2582 0.2582 0.2582  3 Be 2.39
Rh 0.7418 0.7418 0.7418  3 Be 2.39

3.
The crystal structures stop here

AU Engineering News & EurekAlert! News: AU researchers develop solar-powered tech to make “forever chemicals” harmless

DFF Case: Solar-driven process must convert environmental toxins into harmless substances

Faculty of Technical Sciences News: Nine researchers from Tech receive share in green IRFD funding

Baltic Sea PFAS Network News: A project at Aarhus University to develop greener methods to break the PFAS bond


AU Engineering News & EurekAlert! News: Research project to eliminate ‘forever chemicals’